Student electives play an important role in global health.
### Inserted here: data records
____________
No. 1
Computed, not measured: C18H45AlN5O4 as an isolated structure, with ωB97M-V/def2-TZVPD.

- HOMO energy: -3.2 eV
- Largest force on an atom: 1.0 eV/A

Structure (ORCA input):
```
! wB97M-V def2-TZVPD RIJCOSX def2/J DEFGRID3
* xyz -1 1
C -4.90 3.37 4.45
C -5.34 1.89 4.47
C -5.29 1.27 3.08
C -5.72 -0.19 3.02
C -6.10 -0.53 1.56
Al -4.16 -1.42 3.55
C -2.92 -1.85 1.98
N -2.86 -0.80 0.91
H -4.63 3.66 3.43
H -4.02 3.54 5.06
H -5.70 4.04 4.74
H -4.68 1.32 5.11
H -6.34 1.83 4.89
H -4.26 1.39 2.72
H -5.91 1.90 2.42
H -6.58 -0.36 3.68
H -5.47 0.07 0.91
H -7.14 -0.28 1.32
H -5.88 -1.57 1.31
H -3.34 -0.69 4.75
H -4.75 -2.84 4.12
H -3.26 -2.78 1.53
H -1.91 -1.98 2.37
H -2.02 -0.24 0.94
H -3.03 -1.17 -0.02
C 1.07 -0.12 2.08
O -0.09 0.15 2.34
N 1.47 -1.10 1.25
C 2.87 -1.35 0.99
C 0.47 -1.91 0.58
H 1.91 0.44 2.52
H 3.09 -1.21 -0.07
H 3.13 -2.37 1.29
H 3.48 -0.65 1.56
H -0.18 -1.27 -0.02
H -0.15 -2.42 1.32
H 0.94 -2.65 -0.06
C 2.89 -5.35 0.91
O 1.90 -4.81 0.45
N 3.95 -5.74 0.17
C 5.11 -6.38 0.76
C 3.92 -5.51 -1.27
H 3.02 -5.56 1.98
H 6.01 -5.78 0.57
H 5.26 -7.37 0.33
H 4.98 -6.47 1.83
H 3.81 -4.45 -1.48
H 3.06 -6.03 -1.71
H 4.83 -5.88 -1.72
C 1.31 1.59 -0.67
O 2.42 1.24 -1.08
N 0.56 2.54 -1.24
C -0.74 2.89 -0.70
C 1.06 3.22 -2.42
H 0.84 1.14 0.21
H -1.52 2.72 -1.44
H -0.76 3.94 -0.41
H -0.96 2.28 0.18
H 1.24 2.50 -3.21
H 2.00 3.72 -2.19
H 0.34 3.96 -2.76
C 3.23 4.81 -5.01
O 2.08 5.07 -4.73
N 3.61 3.82 -5.84
C 5.01 3.55 -6.13
C 2.59 3.00 -6.45
H 4.08 5.38 -4.59
H 5.20 3.65 -7.20
H 5.27 2.54 -5.82
H 5.64 4.25 -5.59
H 1.92 3.61 -7.05
H 1.99 2.50 -5.68
H 3.05 2.25 -7.08
*
```

***

No. 2
Computed, not measured: C32H47CuN7OSSi3 as an isolated structure, with ωB97M-V/def2-TZVPD.

- HOMO energy (spin up / spin down): -7.5 / -7.8 eV
- Largest force on an atom: 1.6 eV/A
- Energy relative to the best compared isomer or geometry (same formula, charge and spin): 8.7 kcal/mol

Structure (ORCA input):
```
! wB97M-V def2-TZVPD RIJCOSX def2/J DEFGRID3
* xyz 0 2
Cu 0.12 -0.65 0.08
C -1.19 -4.58 1.68
C -0.50 -3.45 0.98
N -0.87 -2.22 1.06
N -1.87 -1.82 1.83
C -1.95 -0.48 1.87
O -1.28 0.30 1.16
C -2.85 0.04 2.93
C -3.70 -0.82 3.62
C -4.46 -0.34 4.67
C -4.38 0.99 5.04
C -3.54 1.85 4.36
C -2.78 1.38 3.30
C 0.72 -3.64 0.23
C 1.45 -4.83 0.22
C 2.64 -4.89 -0.48
C 3.08 -3.77 -1.17
C 2.28 -2.63 -1.13
N 1.14 -2.57 -0.47
H -2.11 -4.20 2.12
H -0.57 -4.98 2.48
H -1.44 -5.40 1.00
H -3.75 -1.86 3.33
H -5.11 -1.01 5.22
H -4.98 1.36 5.86
H -3.46 2.89 4.66
H -2.11 2.03 2.75
H 1.10 -5.69 0.77
H 3.22 -5.80 -0.48
H 4.00 -3.77 -1.73
H 2.55 -1.74 -1.66
C 0.46 2.81 1.79
Si 0.19 2.61 -0.09
C 0.88 4.24 -0.86
C -1.68 2.78 -0.41
C 1.16 1.10 -0.82
Si 1.17 1.14 -2.74
C 1.39 -0.55 -3.64
C -0.34 1.88 -3.65
C 2.65 2.21 -3.33
Si 2.90 0.96 -0.07
C 4.29 -0.04 -0.98
C 3.84 2.59 0.32
C 2.76 0.03 1.60
C 3.79 0.01 2.54
C 3.62 -0.64 3.74
C 2.40 -1.25 4.00
C 1.44 -1.21 3.01
N 1.61 -0.60 1.84
H -0.24 3.54 2.20
H 1.46 3.16 2.04
H 0.31 1.87 2.30
H 0.49 5.10 -0.33
H 0.59 4.34 -1.90
H 1.96 4.29 -0.82
H -2.14 3.47 0.30
____________
Students are more eager than ever to go abroad and develop their learning and help people in resource poor countries. With them comes great energy, sharing of new knowledge and fresh ideas.
With more students with diverse backgrounds entering healthcare education, students are now more than ever playing a vital role to contributing to global health. Medi Trip Volunteers was an idea founded by a nursing student as an idea to innovate the medical volunteer realm. Often described as a "difficult" or "hard" area to engage in with many ethical and practical issues. Understandable, being that a student is faced with a mixture of sensory and culture shock, as well as having to work in a new system. However, the healthcare student of 2017 is a different breed to yesteryear and yearns for a richer experience as many experience multiculturalism and diversity throughout their lives.
### Quantum chemistry results, as found in the file
=====
Molecular formula: C29H24BrN2O2PPdS
Method: DFT, ωB97M-V with the def2-TZVPD basis set

**Energy relative to the best compared isomer or geometry (same formula, charge and spin)**: 1.9 kJ/mol
**Gap between HOMO and LUMO**: 7.432 eV
**HOMO**: -7.33 eV

The geometry in ORCA input format:
```
! RIJCOSX wB97M-V def2-TZVPD def2/J DEFGRID3
* xyz 0 1
Pd -0.0319 1.0586 -0.5041
Br -5.1466 3.7854 1.1929
S 0.1439 1.0021 1.7649
P 1.8884 0.0934 -0.6852
O 0.7879 0.0155 -4.3327
O -0.0637 1.0332 -2.5446
N -1.9706 -0.3129 -0.0166
N -1.5764 2.9476 -0.6299
C -3.4300 4.9991 -0.7414
C 0.8311 -4.2861 0.0427
C 3.2818 1.8956 0.8443
C 3.3106 0.6352 0.2550
C -2.2887 5.0326 -1.5249
C -2.2813 -2.7518 2.7593
C -1.3882 3.9835 -1.4413
C -2.6665 2.9060 0.1310
C -3.3896 -2.6340 0.5501
C -3.6144 3.9139 0.0964
C 0.8092 -3.7734 -1.2478
C -2.4863 -2.1234 1.5125
C 1.2673 -3.4923 1.0955
C 0.8841 0.4491 -3.2026
C -3.5549 -1.9862 -0.6332
C 5.5638 0.3119 1.0350
C 5.5390 1.5767 1.6072
C -1.3868 -2.2202 3.6444
C -0.6534 -1.0682 3.3124
C 4.4015 2.3670 1.5129
C 2.2388 0.3456 -2.4485
C 1.6714 -2.1875 0.8591
C 1.6447 -1.6699 -0.4351
C -1.7736 -0.9473 1.1783
C -0.8196 -0.4231 2.1051
C 1.2141 -2.4697 -1.4919
C -2.9787 -0.0816 -2.1943
C -2.8214 -0.7997 -0.8872
C 4.4496 -0.1611 0.3579
H -4.2353 -2.3548 -1.3900
H 2.8894 -0.4166 -2.8745
H 4.3802 3.3464 1.9727
H -2.2697 -0.4782 -2.9252
H -2.1009 5.8577 -2.1977
H 6.4085 1.9446 2.1369
H 0.5071 -5.3021 0.2280
H 0.0736 -0.6799 4.0156
H 1.2763 -3.8801 2.1060
H 1.9749 -1.5567 1.6865
H 4.4582 -1.1512 -0.0842
H -4.1616 5.7947 -0.7800
H -2.7448 0.9755 -2.0906
H 2.7294 1.3165 -2.5407
H -2.8363 -3.6524 2.9939
H 0.4701 -4.3859 -2.0733
H -2.7758 2.0472 0.7820
H -1.2228 -2.6930 4.6050
H 2.3767 2.4887 0.7870
H -3.9373 -3.5427 0.7723
H -3.9879 -0.2022 -2.5874
H 6.4485 -0.3059 1.1178
H -0.4936 3.9551 -2.0502
H 1.1684 -2.0884 -2.5055
*
```

---

Molecular formula: C29H24Cl3N4O3Sc
Method: DFT, ωB97M-V with the def2-TZVPD basis set

**Energy relative to the best compared isomer or geometry (same formula, charge and spin)**: 0.0 kJ/mol
**Gap between HOMO and LUMO**: 6.394 eV
**HOMO**: -13.40 eV

The geometry in ORCA input format:
```
! RIJCOSX wB97M-V def2-TZVPD def2/J DEFGRID3
* xyz 2 1
Sc 1.0838 0.5623 0.4735
Cl -1.7249 -1.7086 -2.5334
Cl 0.9648 2.8061 -1.5412
Cl -1.9151 2.3322 -6.0842
O 0.1144 0.1019 -1.0705
O 2.9383 -2.8189 2.4985
O -0.8731 2.9867 3.5044
N 1.9849 -1.4967 0.9608
N -0.1472 2.1358 1.5664
N 3.2537 0.9862 -0.2417
N 1.2075 0.2425 2.7645
C -2.0948 2.7176 0.1365
C 1.4514 -0.0710 5.4835
C 0.7140 -4.3405 -2.7109
C -2.7059 1.4768 0.2933
C 3.1406 -3.5484 1.2402
C -1.0915 3.2116 1.1463
C -1.6984 0.3919 -4.2310
C -3.6324 1.0318 -0.6363
C 2.5019 -2.6425 0.1569
C 0.6469 1.1195 3.5943
C -0.6616 -4.5177 -0.7456
C 0.7410 1.0097 4.9692
C 1.4310 -3.3330 -0.6454
C 1.6437 -3.6035 -1.9917
C 2.2781 -1.7336 2.1885
C -0.3760 0.5923 -2.2173
C -1.2320 -0.1362 -3.0407
C -0.0427 1.8744 -2.6315
C -0.4349 -4.8009 -2.0868
C -0.4848 2.4365 -3.8100
C 0.2717 -3.7891 -0.0262
=====
Volunteers have questionably been regarded as a drain on time and resources to their host communities, without making much impact.However, as we've seen with our own students, healthcare volunteers are quite the opposite. More importantly, students on electives offer fresh ideas, innovation and new energy. They desire to do more and to see more of the world, taking their skills with them. They have proven time again, that with them comes innovative ideas, sharing of advanced and new knowledge. As they discover their own new learning, they also learn to integrate, gain deep fondness and respect for their new host community. To over emphasise their "lack of experience and credentials", discredits the skill sets already acquired in training and motivation that brought them to the field in the first place.
"They have proven time again, that with them comes innovative ideas, sharing of advanced and new knowledge."
We feel, what's important is instilling a deep sense of respect of local culture and social responsibility to be fostered into students before they land at their destination. This is not to negate the importance of informative preparation prior to participation. What we feel takes precedence, is gaining a respect and sense of local engagement with their host community at the start. Once this is established, we begin to see bridges being built where students not only learn from their hosts but can effectively contribute to patient care.
"These are not the bumbling, doe eyed, naive or unskilled students popular belief has portrayed them to be, in cynicism."
Most students in training today are fortunate enough to come from resource rich institutions, where global health will be in some way a part of their curriculum and wouldn't normally be offered an international elective beyond 2nd or 3rd year with strict academic guidelines. These are not the bumbling, doe eyed, naive, or unskilled students popular belief has portrayed them to be in cynicism. These are trainees who have completed hundreds of hours of practical training with direct patient contact and several lectures on global health concepts.
"if we hope to develop health leaders of tomorrow, we need to encourage the notion of inter-cultural exchange and global mobilisation of our students today."
Students play hugely important role in impacting global health. Right at their pinnacle of learning, they contribute to fresh thinking and reinvigorate the motivation for improving health inequalities. As they graduate into their official roles, they have already become global citizens and developed a broader view through their elective experiences. This is hugely important if we hope to develop health leaders of tomorrow, we need to encourage the notion of inter-cultural exchange and global mobilisation of our students today.